Next, give back the part of the listing further down that starts with the line with "(-4.3972, -2.7194," and stops after the one with "2.0044)".

........
Here is a molecular structure, C14H18N3OSi2W from the OMol25 dataset. Energies are from ωB97M-V/def2-TZVPD.

The calculation puts the LUMO energy at -5.3 eV. As for the total charge: +1. The energy above the lowest of the compared OMol25 structures with the same formula, charge and spin comes out at 180.1 kJ/mol.

Element x y z (Å)
H (-0.2355, 3.2889, 1.2672)
H (-3.9595, 0.1221, 5.1126)
C (2.3070, -0.4533, -1.9400)
H (-1.6456, 3.2487, 2.3182)
N (2.3950, -0.8810, -5.5121)
H (-0.1458, 2.4589, 2.8277)
W (0.4532, -0.5508, 0.3827)
H (-2.0593, -4.3935, 0.6298)
C (-1.6175, -1.6080, 2.5257)
Si (-0.4779, -2.6795, 1.4365)
C (1.6166, -0.1624, 1.7784)
H (0.0845, -4.5624, 2.9207)
C (-2.6057, 1.3653, -0.1917)
Si (-1.3275, 1.0938, 1.1398)
H (-1.9660, -3.3740, 3.7041)
N (0.2836, -0.9465, -2.7895)
C (0.6473, -3.7452, 2.4649)
C (1.5406, -0.7456, -3.0908)
H (-2.8702, 0.4324, -0.6914)
C (-2.1845, -2.3172, 3.5908)
H (2.6524, 0.0736, 1.9808)
C (1.9983, -0.8307, -4.4376)
H (-0.7401, -4.1762, -0.5202)
H (0.9567, -0.2387, 2.6642)
H (-2.0632, -3.0022, -0.4538)
H (-3.5160, 1.7814, 0.2461)
C (-2.7380, 0.3667, 3.3705)
H (1.1168, -3.1650, 3.2594)
C (-0.7893, 2.6669, 1.9728)
H (-2.2468, 2.0699, -0.9441)
H (-2.9614, 1.4272, 3.3149)
H (-3.4625, -2.3037, 5.3100)
C (-3.3078, -0.3648, 4.3996)
C (-1.4224, -3.6478, 0.1485)
C (-1.9028, -0.2206, 2.4106)
O (-0.1007, -0.8649, -1.5589)
H (1.4319, -4.1893, 1.8508)
N (2.2327, -0.3135, -0.7958)
C (-3.0289, -1.7182, 4.5104)

natural (NBO) atomic charge list, values in e, 8 entries:
1 H 0.26
2 H 0.23
3 C 0.50
4 H 0.26
5 N -0.16
6 H 0.26
7 W 0.89
8 H 0.26

***

Here is 10 unconnected molecules or ions with the total composition C62H71BBrF6I2N11O9P at a distorted geometry from the OMol25 dataset. Energies are from ωB97M-V/def2-TZVPD.

The calculation puts the LUMO energy at -4.7 eV. As for the total charge: +1.

Element x y z (Å)
C (0.8941, 5.3493, 4.7230)
C (-2.6671, 2.7778, 0.5971)
H (-0.2213, 3.0964, 6.7206)
H (-5.7777, -4.0772, 1.5759)
H (-4.7592, -3.6654, -4.5143)
H (8.5104, 1.2283, -2.1400)
H (-2.0019, 6.4521, -5.4535)
F (1.4377, 3.4722, 3.4522)
C (-4.0075, -1.9110, -2.4686)
H (4.7736, 5.6630, 8.7168)
H (9.9347, -2.8588, -2.0794)
N (8.5539, -1.7675, -0.8758)
H (-2.3354, 4.1970, -1.9514)
H (1.3536, -3.3516, -2.4230)
C (2.7764, 6.4114, -0.5334)
H (2.9950, 8.9273, 6.7934)
H (1.3602, -7.8220, 4.0911)
H (-6.0063, -3.5555, -0.1075)
H (6.6600, 3.7358, -0.1769)
H (-8.0345, -7.7404, 3.0740)
C (-2.4859, -0.1225, -1.7410)
H (1.0226, 1.4350, -2.2568)
H (2.1397, -6.2569, -5.5335)
C (-8.2065, -4.6739, 3.8907)
F (2.2083, 5.2905, 5.0555)
H (2.4501, -9.1721, 0.0781)
H (1.3175, 2.2059, 1.3870)
N (6.5974, 3.9329, -1.1588)
C (3.9199, -10.3007, -1.1839)
O (-7.0163, -0.5158, -1.8391)
H (4.9589, -12.1906, -1.7516)
C (-4.4942, -2.6466, -4.8276)
H (-4.3972, -2.7194, -1.8546)
H (-7.6095, -4.8260, 6.0458)
C (9.4477, -1.9159, -1.9011)
C (1.8686, 7.2221, -2.4269)
N (-2.3189, 4.4339, -2.9223)
H (-6.8897, -2.7249, -7.0071)
B (-6.1808, -0.6539, -0.7569)
H (-1.8876, 6.5165, -2.7515)
H (0.7238, -5.8435, -1.5956)
O (0.4871, 3.4415, 6.1558)
Br (0.3310, -0.7498, 0.4952)
C (-7.8015, -5.3032, 5.0999)
H (3.8595, 7.6805, -3.3179)
H (1.1852, -7.1968, -0.0416)
H (-4.8489, -1.3507, 1.4762)
I (3.8436, 0.7651, 1.6377)
H (-8.3835, -3.6223, 3.7362)
O (-0.7496, 5.4726, 0.7751)
H (4.7541, 6.7647, -1.1774)
C (-6.5207, -2.5004, -6.0151)
C (-2.4401, 4.2813, -5.1303)
C (-0.8242, 1.5603, -1.0929)
C (-2.0809, 5.6898, -3.4139)
C (-2.1410, 1.0350, -1.0111)
C (1.6972, -7.2898, 2.0044)
C (-2.1455, 5.6257, -4.7789)
C (1.0205, -7.8187, 3.0694)
H (-1.7643, -0.6386, -2.3455)
N (4.4752, 6.5988, 8.5167)
H (-4.9306, -0.6800, -4.0372)
C (3.5387, 8.3290, 7.5052)
H (-6.2944, -1.9567, 2.2148)
C (-3.7399, -0.6643, -1.6797)
O (-5.4511, 1.6855, 0.5539)
H (1.2306, -7.3941, -3.5018)
H (-7.7442, 0.0956, -1.6758)
C (-0.2200, -8.1401, 1.2216)
C (1.8318, 2.7913, 0.6360)
N (1.3779, -6.4025, -3.5490)
H (6.6592, 5.8282, -3.8056)
H (4.2144, 9.7948, 9.0589)
C (2.7082, -11.3064, 0.4220)
........

H (-4.3972, -2.7194, -1.8546)
H (-7.6095, -4.8260, 6.0458)
C (9.4477, -1.9159, -1.9011)
C (1.8686, 7.2221, -2.4269)
N (-2.3189, 4.4339, -2.9223)
H (-6.8897, -2.7249, -7.0071)
B (-6.1808, -0.6539, -0.7569)
H (-1.8876, 6.5165, -2.7515)
H (0.7238, -5.8435, -1.5956)
O (0.4871, 3.4415, 6.1558)
Br (0.3310, -0.7498, 0.4952)
C (-7.8015, -5.3032, 5.0999)
H (3.8595, 7.6805, -3.3179)
H (1.1852, -7.1968, -0.0416)
H (-4.8489, -1.3507, 1.4762)
I (3.8436, 0.7651, 1.6377)
H (-8.3835, -3.6223, 3.7362)
O (-0.7496, 5.4726, 0.7751)
H (4.7541, 6.7647, -1.1774)
C (-6.5207, -2.5004, -6.0151)
C (-2.4401, 4.2813, -5.1303)
C (-0.8242, 1.5603, -1.0929)
C (-2.0809, 5.6898, -3.4139)
C (-2.1410, 1.0350, -1.0111)
C (1.6972, -7.2898, 2.0044)